Last time, we discussed how utilising existing staff connections to obtain referrals can help you to get through the recruitment process faster and more reliably since these candidates already have a base understanding of your company and what is expected of them through word of mouth. If you missed it, why not check our part 3 of ‘The Recruitment Process’?

It’s all well and good knowing that the calibre of potential candidates lined up for an opening is higher with a bunch of referrals who you’ve been assured are the perfect fit for the role and the wider company. However, them impressing you is only one half of the dance. 

When all is said and done, and the successful candidate has been offered the position, the ball is in their court to decide whether they take the opportunity; and while job seekers are very much focused on wowing hiring managers to secure themselves an offer, they are equally concerned about the positive (or negative) impression given by the interviewer, too. 

Did you know that a staggering 70% of job seekers turn down a job if their first impression of the company is sub-standard? The research that found this statistic revealed that an interviewee’s first impression is impacted by everything from the reception area to what they think of the interviewer’s handshake and fashion sense.

As the job market gets more competitive for hiring managers, a strong first impression helps your business stand out and continue to attract the most qualified professionals that your field has to offer.

If you want to deliver a standout impression on your candidates, follow the tips below to ensure that you are well prepared each and every time. 

Make Job Requirements Clear and Concise

It’s surprising just how many companies try to fill an open role without knowing exactly who or what they actually need, which makes the whole process confusing and a waste of time for everyone involved. 

Before interviews begin, the first thing on your agenda should be to go through the job requirements with a fine-toothed comb to ensure that there is no uncertainty behind the role and what will be expected of both you and the successful candidate.

Things to consider are: 

  • What kinds of tasks will the person be doing?
  • What are the short- and long-term goals associated with the position?
  • Who will they report to?
  • What is the salary range and is it negotiable?
  • Which colleagues will they be working with most closely?
  • What kinds of clients can they expect to service?
  • What type of experience is necessary to excel in this role?
  • Is any formal training or certification required?

Don’t be tempted to beef up your job description to attract the best talent. You’ll only end up burning bridges. It’s important to be transparent during all parts of the interview process. If you’re looking for a salesperson and the job requires a lot of cold calling, make this known from the start. You don’t want to hire someone, only to have them quit two weeks in because the position wasn’t at all what they expected due to a misleading job description.

(Data records, as found in the file)
/*
Entry 1:
100
Properties=species:S:1:pos:R:3:forces:R:3 method="wB97M-V/def2-TZVPD" orbital_gap_ev="5.8 / 3.9" multiplicity=8 total_charge=-2
Tb -0.058626 0.910581 -0.716233 -0.3 1.1 1.6
O 3.229595 -0.982495 1.286089 -0.1 0.2 -0.5
C 2.946161 -0.491306 0.196472 0.8 -0.6 0.8
O 1.861887 0.104082 -0.097183 0.1 -0.1 -0.2
C 3.998583 -0.537497 -0.900892 -0.3 0.2 -0.1
C 5.260825 -1.006470 -0.566300 0.1 -0.1 0.1
C 6.294741 -1.012796 -1.482379 0.0 0.0 0.0
C 6.052390 -0.581116 -2.780760 0.3 0.0 0.1
C 4.799768 -0.140216 -3.138648 -0.3 0.1 -0.1
C 3.751163 -0.081682 -2.207391 0.5 -0.3 0.4
S 2.250265 0.567966 -2.752395 -0.3 -0.1 -0.6
H 5.406019 -1.358387 0.448096 -0.1 0.1 0.0
H 7.282342 -1.344407 -1.189297 0.0 -0.1 0.0
H 6.851075 -0.590032 -3.512361 0.0 0.0 0.0
H 4.604746 0.191381 -4.147722 0.0 0.0 -0.1
O -0.768844 1.218985 -3.023531 0.3 -1.6 -0.3
N -0.906983 0.170232 -3.751759 0.1 0.7 0.2
N -0.586258 -0.924641 -3.176102 -0.2 0.6 -0.1
O -0.155999 -1.022642 -1.952830 0.4 0.2 -0.3
C -0.641521 -2.108670 -3.929929 -0.1 -1.0 -0.6
C 0.233879 -3.139756 -3.602909 0.0 0.4 0.1
C 0.170104 -4.334442 -4.291160 -0.1 -0.1 -0.1
C -0.775116 -4.515318 -5.288866 0.0 0.0 -0.1
C -1.642826 -3.482064 -5.614282 0.1 -0.1 -0.1
C -1.578998 -2.274620 -4.943728 0.1 0.2 0.1
H 0.947321 -2.978885 -2.809850 0.0 0.0 0.1
H 0.854283 -5.133192 -4.036596 0.0 0.0 0.0
H -0.838459 -5.463334 -5.805757 0.0 0.0 -0.1
H -2.383962 -3.624971 -6.388890 0.0 0.0 0.0
H -2.250161 -1.463055 -5.178010 -0.1 0.0 0.0
C 1.288246 4.096160 -1.568971 -0.1 0.1 -0.1
N 1.796190 3.221341 -0.517500 0.0 0.1 -0.2
C 3.218563 2.995847 -0.733323 -0.1 0.0 0.0
C 1.588571 3.859505 0.783598 -0.2 -0.2 0.2
C 0.143404 3.819214 1.228969 -0.1 0.0 0.0
C -0.381977 4.919235 1.900088 0.2 0.0 0.0
C -1.701123 4.924910 2.311591 -0.1 0.2 0.2
C -2.502977 3.831585 2.046396 -0.1 -0.3 0.0
C -1.966268 2.728124 1.401096 0.0 0.5 0.1
C -0.636147 2.683348 0.982276 0.1 -0.4 -0.5
H 1.865420 5.036180 -1.623714 0.0 0.0 0.0
H 0.249181 4.351117 -1.365842 0.0 0.0 0.0
H 1.352162 3.593430 -2.534309 0.0 0.0 0.0
H 3.804920 3.915302 -0.572397 0.0 0.0 0.0
H 3.374401 2.660978 -1.756701 0.1 0.1 0.1
H 3.580629 2.223963 -0.057691 0.1 0.0 0.1
H 1.949554 4.907714 0.753900 0.0 -0.2 0.0
H 2.196088 3.316910 1.515209 0.1 0.0 0.0
H 0.245650 5.782568 2.097654 0.0 0.1 0.0
H -2.109535 5.787557 2.823174 0.0 0.1 0.0
H -3.548218 3.835657 2.323797 -0.1 0.0 0.1
H -2.636930 1.901511 1.193835 0.0 0.0 0.0
C -0.892142 0.945795 3.952501 0.1 -0.1 0.0
C 0.498895 0.321446 3.911873 -0.1 0.3 -0.1
C 1.460260 1.152347 3.068446 -0.1 -0.1 0.0
C 0.521393 -1.130702 3.476852 0.0 0.1 0.2
C 1.296307 -1.947507 4.286696 0.1 -0.1 0.1
C 1.370216 -3.309834 4.099705 0.0 -0.1 0.0
C 0.644728 -3.856537 3.064681 0.1 -0.1 0.1
C -0.115582 -3.082032 2.195986 0.2 -0.1 0.0
C -0.825138 -3.931335 1.147888 -0.3 0.0 -0.1
C -2.088482 -4.555434 1.761502 0.2 0.0 -0.1
C -1.166734 -3.298449 -0.195411 0.3 -0.1 0.2
C -0.175319 -1.676738 2.371332 0.1 -0.3 0.2
N -0.882792 -0.884574 1.460099 0.4 0.6 -0.8
*/

This information should be provided in writing (ideally as part of the job listing) so all applicants know what to expect before they submit their CVs. Working off the cuff with an obscure job description makes your business look unprofessional.

Know What Type of Person You’re Looking For

Experience and qualifications are undoubtedly important to ascertaining how suitable a candidate is for the job in question. But it’s also important to understand who they are as a person before offering them a place in your fold, otherwise you could stand to threaten your hard worked for company culture. 

Consider asking them to take a personality test as part of the interview process and explain that you pride yourself in understanding each and every one of your employees in order to know how best to work with them on an individual level. This will not only give you an insight into the type of person they are and how well they will fit into your company, but you’ll also get an insight into their work ethic. Not only that, but you’ll ultimately demonstrate to candidates that you value and care for your employees, and there’s no better first impression than that. 

Everyone Involved in the Recruitment Process Must be Prepared

Whether you’re handling the hiring on your own or rely on a panel-style interview to complete the process, everyone involved should be prepared before you bring candidates in. This means you’ve looked over each applicant’s resume and cover letter, know what you want to ask, can give them an idea about how long the hiring process will take, can provide details about what the position entails, and can explain what the next steps will be.

Bringing candidates in when you lack information or feel disjointed gives a negative impression to those who have applied for the job and can cause you to miss out on the best candidates, as they may choose to go elsewhere.

Be Transparent with Candidates

I don’t know about you, but for me, when I’ve been on the job hunt in the past, my biggest annoyance (aside from being turned down for jobs, of course) has been the dire lack of communication during the hiring process. Trying to find a job is stressful enough, but not knowing where you stand during the interview process only makes it more frustrating. 

When you think that an interview went well, but now it’s been a week and you haven’t heard anything so you’re left wondering whether to continue to hunt, you pretty much lose any respect that you had for the company to begin with.

Not only does that lose you a potential candidate, but you could even be facing a hit to your brand if they choose to tell people about their negative experience. 

Show your applicants that you respect their time and energy by practicing good communication from start to finish during your hiring process.

Let them know when they can expect to hear from you and ask them how they’d prefer to be contacted. Some people find a phone call much easier, while others can’t answer the telephone during the day, making email the best option.

Offer Honest Feedback

Following on from our previous point, it’s important to let candidates know if they haven’t been successful in getting an offer. This shows your respect for them and also allows them to move forward in their job search without wondering if they still have a shot with your company. 

It’s never nice having to tell someone that they haven’t made it, but you can seize the opportunity of a negative situation to have a positive impact on their professional development. Let them know why they didn’t get the job. Were they lacking in knowledge in a specific area? Or were they under qualified for the position? This information can help people to better their chances at securing the next job they go for. 

Choose an Appropriate Interview Space

The environment an interview is conducted in goes a long way to helping the conversation flow (and also what the candidate thinks of your office space). 

Choosing a loud, busy space causes distraction for both interviewer and job seeker. If you’re straining to hear one another over a raucous sales meeting or half of your staff enjoying a lunch break, it will be hard to have a serious, focused conversation. 

On the other hand, a dimly lit, stark room can feel unwelcoming to those coming in to discuss job opportunities.

Be open to choosing a location outside of your normal office space, as well. Many hiring managers find that coffee shops or other off-campus sites lend themselves to a more relaxed job interview than the traditional conference room setting.

Test Equipment Ahead of Time

This might not seem relevant, but if you need to incorporate technology into your discussion — perhaps you want to show a short PowerPoint presentation or you’d like to bring up your company’s website — make sure you’re completely comfortable with the functionality of the software ahead of time.

Few things look worse than when you have to bring in additional hands to get technology issues resolved so you can continue on with your meeting. It gives off an unprofessional appearance and grinds the interview process to a halt. This can cause the candidate to question whether your business is truly up to date on the latest technology and may encourage them to seek opportunities with businesses that have a better grasp on these details.

Small Talk is Good

While keeping the interview process running on time is crucial, bringing a candidate in and immediately drilling them on their previous work experience and educational background makes the whole thing feel uncomfortable and sterile.

Take a few minutes at the start of the interview to make the candidate feel welcome by making casual conversation. This makes the discussion feel more natural and helps put the candidate at ease – and you never know what additional information you might discover from them. 

Keep your Website and Social Media Up to Date

Most candidates will be scoping you out before they even apply for the job. They might want to know anything from the kinds of clients do you take on, whether you’ve won any notable awards or what the atmosphere within your office appears to be like.

Your online presence is the fastest and easiest way to find out this information, and so they’ll be hitting up your website and any social media pages you have. If these are outdated, it sends a bad message to those who may be interested in applying for a job at your company.

Greet them Warmly

The hiring manager isn’t the only person who plays a role in the interview process. Your company’s receptionist has a major influence on the first impression your company creates, so make sure he or she gives off the kind of positive vibes you hope your business radiates.

If this person is cold and unfriendly, the candidate will immediately have a negative impression of your company. If they’re engaging, this individual will feel at home and probably less nervous about the process.

Read more in part 5 of The Recruitment Process series where we look at how collaborative hiring can boost your recruitment efforts.